Assignment =
The reader should return the lines further below from the one with "1.83 -2.41" to the one with "4.95 2.59" without altering anything.

Listing =
+++
No. 1
Computed, not measured: a molecular structure, C54H69N6O9SbSc at a distorted geometry, with wB97M-V/def2-TZVPD.

Values from the calculation:
Gap between HOMO and LUMO ... 6.133 eV
Total energy ... -4105.894949 Eh
E_LUMO ... 1.65 eV
HOMO level ... -4.49 eV

ORCA input file:
```
! RIJCOSX wB97M-V def2-TZVPD def2/J DEFGRID3
* xyz -1 1
Sc -0.29 -0.63 0.82
C -5.48 4.62 -1.74
O -5.74 4.31 -0.36
C -4.72 4.56 0.52
C -4.96 5.44 1.57
C -3.99 5.67 2.53
C -2.77 5.02 2.44
C -2.53 4.12 1.40
C -3.50 3.88 0.44
N -3.34 2.95 -0.62
C -2.26 2.05 -0.55
N -1.09 2.63 -0.97
C 0.11 2.63 -0.19
C 0.49 1.55 0.58
C 1.61 1.80 1.41
C 2.29 3.00 1.45
C 1.88 4.06 0.64
C 0.79 3.86 -0.18
O 0.26 4.84 -0.99
C 0.72 6.16 -0.81
N -2.36 0.82 -0.21
C -3.66 0.44 0.30
C -3.76 0.28 1.68
C -4.97 -0.02 2.29
C -6.11 -0.16 1.51
C -6.02 0.01 0.15
C -4.82 0.31 -0.48
O -4.96 0.55 -1.82
C -3.85 0.62 -2.71
H -6.22 5.34 -2.07
H -5.59 3.71 -2.34
H -4.49 5.03 -1.88
H -5.93 5.92 1.62
H -4.19 6.35 3.35
H -2.01 5.16 3.19
H -1.60 3.56 1.39
H -4.22 2.51 -0.83
H -1.26 3.55 -1.35
H 1.97 1.01 2.07
H 3.15 3.13 2.11
H 2.40 5.01 0.67
H 1.78 6.25 -1.07
H 0.57 6.49 0.22
H 0.14 6.78 -1.48
H -2.87 0.43 2.28
H -5.01 -0.13 3.37
H -7.07 -0.38 1.97
H -6.91 -0.05 -0.48
H -4.23 0.30 -3.68
H -3.05 -0.04 -2.42
H -3.47 1.65 -2.80
O 1.05 -3.48 -0.41
C 1.28 -2.43 -0.96
O 1.08 -1.24 -0.45
C 1.83 -2.41 -2.36
C 1.97 -1.22 -3.06
C 2.48 -1.21 -4.35
C 2.85 -2.40 -4.96
C 2.69 -3.58 -4.25
C 2.18 -3.61 -2.97
N 3.07 -4.85 -4.90
O 3.50 -4.80 -6.04
O 2.93 -5.88 -4.27
H 1.66 -0.30 -2.58
H 2.59 -0.28 -4.89
H 3.26 -2.43 -5.96
H 2.05 -4.54 -2.43
C -1.36 -1.99 -4.32
C -2.22 -2.26 -3.11
C -3.49 -2.81 -3.25
C -4.27 -3.01 -2.12
C -5.71 -3.46 -2.24
C -3.74 -2.79 -0.86
C -2.42 -2.33 -0.66
C -1.73 -1.98 -1.85
N -1.80 -2.21 0.57
C -2.07 -3.28 1.57
C -3.28 -3.00 2.47
C -2.20 -4.67 0.91
C -0.85 -3.37 2.49
H -1.94 -2.04 -5.24
H -0.55 -2.73 -4.39
H -0.88 -1.01 -4.25
H -3.88 -3.05 -4.24
H -5.98 -3.67 -3.27
H -6.38 -2.68 -1.86
H -5.89 -4.36 -1.65
H -4.39 -2.93 0.00
H -0.76 -1.49 -1.77
H -4.23 -3.01 1.93
H -3.17 -2.02 2.93
H -3.33 -3.75 3.27
H -3.11 -4.79 0.34
H -2.18 -5.44 1.69
H -1.34 -4.82 0.24
H -0.84 -2.52 3.17
H 0.07 -3.40 1.91
H -0.90 -4.27 3.10
O 1.81 -1.49 2.59
C 1.13 -0.85 3.39
C 1.47 -0.60 4.84
C 0.40 0.41 5.27
C -0.56 0.46 4.08
O -1.61 1.08 4.07
N -0.05 -0.29 3.04
H 2.49 -0.24 4.94
H 1.40 -1.54 5.38
H 0.80 1.41 5.42
H -0.15 0.13 6.17
C 5.15 -2.99 -0.84
C 5.70 -2.11 0.29
C 7.12 -1.65 -0.03
Sb 4.20 -0.54 0.65
C 5.05 0.30 2.51
C 5.64 -0.83 3.34
C 6.02 1.47 2.40
C 4.91 0.75 -1.02
C 3.76 1.66 -1.45
C 6.20 1.57 -0.89
H 5.81 -3.85 -1.02
H 5.08 -2.43 -1.78
H 4.15 -3.37 -0.60
H 5.70 -2.69 1.21
H 7.14 -1.10 -0.97
H 7.79 -2.51 -0.13
H 7.53 -1.00 0.75
H 4.15 0.65 3.01
H 6.54 -1.25 2.88
H 4.92 -1.65 3.47
H 5.92 -0.47 4.34
H 6.93 1.19 1.86
H 6.32 1.81 3.40
H 5.57 2.32 1.88
H 5.06 -0.01 -1.79
H 3.66 2.51 -0.77
H 2.80 1.14 -1.45
H 3.93 2.06 -2.46
H 6.02 2.47 -0.29
H 6.53 1.90 -1.88
H 7.01 1.02 -0.43
*
```

No. 2
Computed, not measured: a molecular structure, C54H70N4O2P2RbSb, with wB97M-V/def2-TZVPD.

Values from the calculation:
Gap between HOMO and LUMO ... 7.405 eV
Total energy ... -3416.146384 Eh
E_LUMO ... 0.32 eV
HOMO level ... -7.08 eV

ORCA input file:
```
! RIJCOSX wB97M-V def2-TZVPD def2/J DEFGRID3
* xyz 0 1
Rb 0.34 -0.52 0.98
C -2.39 -4.04 1.04
C -1.02 -4.48 1.45
N -0.45 -5.53 0.99
O -1.27 -6.21 0.05
C -0.25 -3.74 2.46
C 0.90 -4.40 3.15
N -0.62 -2.51 2.64
O 0.09 -1.75 3.44
H -2.41 -3.70 0.01
H -2.71 -3.23 1.69
H -3.08 -4.88 1.11
H -0.76 -7.01 -0.11
H 1.71 -4.62 2.45
H 0.60 -5.35 3.59
H 1.27 -3.74 3.94
C 2.50 -0.72 -3.51
N 1.98 0.62 -3.74
C 0.56 0.70 -3.98
P -0.51 0.25 -2.51
C -1.05 -1.44 -3.02
C -0.86 -2.51 -2.15
C -1.17 -3.81 -2.53
C -1.71 -4.04 -3.78
C -1.93 -2.98 -4.65
C -1.60 -1.69 -4.27
C -1.99 1.26 -2.94
C -1.85 2.65 -2.98
C -2.95 3.47 -3.17
C -4.22 2.91 -3.29
C -4.37 1.54 -3.23
C -3.26 0.72 -3.05
C 2.81 1.51 -4.47
C 2.35 2.22 -5.58
C 3.18 3.11 -6.24
C 4.48 3.30 -5.83
C 4.95 2.59 -4.74
C 4.13 1.71 -4.06
+++

Written answer =
C 1.83 -2.41 -2.36
C 1.97 -1.22 -3.06
C 2.48 -1.21 -4.35
C 2.85 -2.40 -4.96
C 2.69 -3.58 -4.25
C 2.18 -3.61 -2.97
N 3.07 -4.85 -4.90
O 3.50 -4.80 -6.04
O 2.93 -5.88 -4.27
H 1.66 -0.30 -2.58
H 2.59 -0.28 -4.89
H 3.26 -2.43 -5.96
H 2.05 -4.54 -2.43
C -1.36 -1.99 -4.32
C -2.22 -2.26 -3.11
C -3.49 -2.81 -3.25
C -4.27 -3.01 -2.12
C -5.71 -3.46 -2.24
C -3.74 -2.79 -0.86
C -2.42 -2.33 -0.66
C -1.73 -1.98 -1.85
N -1.80 -2.21 0.57
C -2.07 -3.28 1.57
C -3.28 -3.00 2.47
C -2.20 -4.67 0.91
C -0.85 -3.37 2.49
H -1.94 -2.04 -5.24
H -0.55 -2.73 -4.39
H -0.88 -1.01 -4.25
H -3.88 -3.05 -4.24
H -5.98 -3.67 -3.27
H -6.38 -2.68 -1.86
H -5.89 -4.36 -1.65
H -4.39 -2.93 0.00
H -0.76 -1.49 -1.77
H -4.23 -3.01 1.93
H -3.17 -2.02 2.93
H -3.33 -3.75 3.27
H -3.11 -4.79 0.34
H -2.18 -5.44 1.69
H -1.34 -4.82 0.24
H -0.84 -2.52 3.17
H 0.07 -3.40 1.91
H -0.90 -4.27 3.10
O 1.81 -1.49 2.59
C 1.13 -0.85 3.39
C 1.47 -0.60 4.84
C 0.40 0.41 5.27
C -0.56 0.46 4.08
O -1.61 1.08 4.07
N -0.05 -0.29 3.04
H 2.49 -0.24 4.94
H 1.40 -1.54 5.38
H 0.80 1.41 5.42
H -0.15 0.13 6.17
C 5.15 -2.99 -0.84
C 5.70 -2.11 0.29
C 7.12 -1.65 -0.03
Sb 4.20 -0.54 0.65
C 5.05 0.30 2.51
C 5.64 -0.83 3.34
C 6.02 1.47 2.40
C 4.91 0.75 -1.02
C 3.76 1.66 -1.45
C 6.20 1.57 -0.89
H 5.81 -3.85 -1.02
H 5.08 -2.43 -1.78
H 4.15 -3.37 -0.60
H 5.70 -2.69 1.21
H 7.14 -1.10 -0.97
H 7.79 -2.51 -0.13
H 7.53 -1.00 0.75
H 4.15 0.65 3.01
H 6.54 -1.25 2.88
H 4.92 -1.65 3.47
H 5.92 -0.47 4.34
H 6.93 1.19 1.86
H 6.32 1.81 3.40
H 5.57 2.32 1.88
H 5.06 -0.01 -1.79
H 3.66 2.51 -0.77
H 2.80 1.14 -1.45
H 3.93 2.06 -2.46
H 6.02 2.47 -0.29
H 6.53 1.90 -1.88
H 7.01 1.02 -0.43
*
```

No. 2
Computed, not measured: a molecular structure, C54H70N4O2P2RbSb, with wB97M-V/def2-TZVPD.

Values from the calculation:
Gap between HOMO and LUMO ... 7.405 eV
Total energy ... -3416.146384 Eh
E_LUMO ... 0.32 eV
HOMO level ... -7.08 eV

ORCA input file:
```
! RIJCOSX wB97M-V def2-TZVPD def2/J DEFGRID3
* xyz 0 1
Rb 0.34 -0.52 0.98
C -2.39 -4.04 1.04
C -1.02 -4.48 1.45
N -0.45 -5.53 0.99
O -1.27 -6.21 0.05
C -0.25 -3.74 2.46
C 0.90 -4.40 3.15
N -0.62 -2.51 2.64
O 0.09 -1.75 3.44
H -2.41 -3.70 0.01
H -2.71 -3.23 1.69
H -3.08 -4.88 1.11
H -0.76 -7.01 -0.11
H 1.71 -4.62 2.45
H 0.60 -5.35 3.59
H 1.27 -3.74 3.94
C 2.50 -0.72 -3.51
N 1.98 0.62 -3.74
C 0.56 0.70 -3.98
P -0.51 0.25 -2.51
C -1.05 -1.44 -3.02
C -0.86 -2.51 -2.15
C -1.17 -3.81 -2.53
C -1.71 -4.04 -3.78
C -1.93 -2.98 -4.65
C -1.60 -1.69 -4.27
C -1.99 1.26 -2.94
C -1.85 2.65 -2.98
C -2.95 3.47 -3.17
C -4.22 2.91 -3.29
C -4.37 1.54 -3.23
C -3.26 0.72 -3.05
C 2.81 1.51 -4.47
C 2.35 2.22 -5.58
C 3.18 3.11 -6.24
C 4.48 3.30 -5.83
C 4.95 2.59 -4.74